Now work out how many lines further down have the word "from" in them; a number is enough.
This record from the Open Molecules 2025 dataset describes a molecular structure, C10H24OP2PdS2. The level of theory is ωB97M-V with the def2-TZVPD basis set.

The geometry in ORCA input format:
```
! RIJCOSX wB97M-V def2-TZVPD def2/J DEFGRID3
* xyz -2 1
Pd -0.38 0.76 0.06
C -1.77 -3.08 0.12
P -1.67 -1.20 0.00
C -2.68 -1.14 -1.56
C -3.05 -0.89 1.21
C -3.57 0.55 1.09
P -2.15 1.75 0.96
C -1.88 2.10 2.76
C -3.17 3.27 0.62
H -2.77 -3.47 -0.11
H -1.49 -3.40 1.13
H -1.04 -3.52 -0.57
H -3.68 -1.57 -1.43
H -2.15 -1.70 -2.33
H -2.75 -0.10 -1.89
H -2.64 -1.05 2.21
H -3.86 -1.62 1.07
H -4.24 0.81 1.92
H -4.15 0.65 0.16
H -2.81 2.22 3.31
H -1.28 3.01 2.84
H -1.28 1.29 3.18
H -3.93 3.45 1.39
H -3.66 3.16 -0.35
H -2.49 4.11 0.56
C 4.15 2.19 1.08
C 2.86 1.72 0.44
S 1.69 1.07 1.59
C 2.67 1.84 -0.90
C 3.73 2.47 -1.78
S 1.22 1.39 -1.81
H 4.11 2.01 2.15
H 4.31 3.27 0.93
H 5.03 1.68 0.68
H 4.72 2.49 -1.32
H 3.46 3.50 -2.02
H 3.80 1.93 -2.72
O 0.26 4.12 -0.01
H 0.70 3.62 0.70
H 0.28 3.43 -0.70
*
```

Properties
* LUMO: 5.40 eV
* energy: -2077.65353 Eh

***

This record from the Open Molecules 2025 dataset describes 15 unconnected molecules or ions with the total composition C65H105N5O10 in a non-equilibrium geometry. The level of theory is ωB97M-V with the def2-TZVPD basis set.

The geometry in ORCA input format:
```
! RIJCOSX wB97M-V def2-TZVPD def2/J DEFGRID3
* xyz 1 2
C -0.13 -0.45 0.46
C -0.49 -1.44 -0.56
C -0.31 -0.70 -1.85
O 0.02 0.63 -1.51
C 0.63 0.65 -0.24
H 0.47 -0.87 1.27
H -1.05 -0.04 0.87
H -1.50 -1.77 -0.31
H 0.15 -2.32 -0.53
H -1.26 -0.67 -2.38
H 0.39 -1.04 -2.61
H 0.41 1.59 0.26
H 1.70 0.49 -0.33
C 1.94 -1.97 -7.06
C 2.23 -2.91 -5.96
C 1.26 -2.46 -4.85
O 1.27 -1.00 -5.02
C 1.66 -0.65 -6.34
H 1.04 -2.29 -7.60
H 2.74 -1.79 -7.78
H 3.25 -2.68 -5.64
H 2.07 -3.93 -6.32
H 1.56 -2.76 -3.85
H 0.27 -2.83 -5.10
H 2.56 -0.05 -6.28
H 0.83 -0.11 -6.81
C 4.43 -1.34 -2.80
C 5.19 -0.08 -3.11
C 5.15 0.66 -1.80
O 3.80 0.44 -1.43
C 3.23 -0.75 -2.05
H 5.06 -1.99 -2.20
H 4.21 -1.92 -3.69
H 4.70 0.52 -3.89
H 6.18 -0.27 -3.52
H 5.38 1.71 -1.95
H 5.87 0.22 -1.11
H 2.40 -0.57 -2.73
H 2.94 -1.48 -1.30
C 1.49 5.56 0.21
C 0.32 5.02 1.08
C 0.57 5.47 2.46
O 1.27 6.74 2.21
C 1.72 6.92 0.83
H 1.13 5.61 -0.82
H 2.42 5.00 0.25
H 0.21 3.94 1.03
H -0.65 5.39 0.76
H 1.23 4.81 3.02
H -0.34 5.66 3.03
H 2.80 7.09 0.84
H 1.28 7.76 0.30
C -2.49 3.10 5.19
C -3.06 2.59 3.86
C -1.77 2.15 3.14
O -0.73 2.80 3.88
C -1.01 2.68 5.24
H -3.11 2.69 5.99
H -2.59 4.18 5.27
H -3.46 3.37 3.20
H -3.84 1.84 3.96
H -1.77 2.36 2.07
H -1.62 1.08 3.25
H -0.41 3.30 5.90
H -0.83 1.66 5.57
C -3.15 1.57 -0.65
C -3.63 2.92 -0.19
C -4.46 3.41 -1.38
O -4.29 2.55 -2.47
C -4.02 1.26 -1.92
H -3.25 0.77 0.08
H -2.08 1.54 -0.82
H -2.84 3.64 0.05
H -4.21 2.88 0.74
H -4.30 4.47 -1.58
H -5.51 3.47 -1.08
H -3.42 0.63 -2.58
H -4.98 0.82 -1.67
C 3.37 -4.00 2.53
C 3.35 -3.12 1.31
C 3.87 -1.75 1.81
O 3.28 -1.71 3.07
C 3.10 -3.00 3.62
H 4.38 -4.34 2.76
H 2.70 -4.86 2.55
H 2.32 -3.06 0.95
H 3.90 -3.52 0.46
H 3.47 -0.96 1.16
H 4.95 -1.65 1.78
H 2.08 -3.19 3.95
H 3.76 -3.17 4.46
C -2.02 -4.49 2.14
C -2.03 -5.93 2.15
C -0.61 -6.27 1.61
O 0.25 -5.23 2.05
C -0.61 -4.17 2.47
H -2.74 -4.07 2.84
H -2.34 -4.07 1.19
H -2.82 -6.34 1.52
H -2.17 -6.31 3.16
H -0.59 -6.36 0.52
H -0.29 -7.20 2.08
H -0.31 -3.19 2.08
H -0.64 -4.15 3.56
C 2.71 1.84 4.38
C 2.12 1.89 2.94
C 3.35 2.26 2.16
O 3.92 3.30 2.94
C 3.41 3.23 4.27
H 3.44 1.07 4.60
H 1.90 1.77 5.11
H 1.35 2.64 2.78
H 1.75 0.95 2.52
H 2.97 2.62 1.20
H 4.08 1.47 2.02
H 2.70 4.04 4.46
H 4.25 3.30 4.95
C -1.32 5.52 -2.29
C -0.88 4.07 -2.26
C -1.47 3.36 -3.53
O -2.58 4.26 -3.89
C -2.20 5.60 -3.54
H -0.56 6.30 -2.32
H -1.91 5.66 -1.39
H -1.05 3.59 -1.29
H 0.20 4.05 -2.42
H -1.82 2.38 -3.20
H -0.78 3.39 -4.37
H -3.03 6.28 -3.38
H -1.60 5.98 -4.37
N -4.41 -2.05 -1.69
C -3.68 -3.11 -2.11
C -4.19 -4.10 -2.95
C -5.52 -3.98 -3.42
C -6.31 -2.92 -2.98
C -5.74 -1.98 -2.10
H -2.65 -3.26 -1.85
H -3.59 -4.92 -3.32
H -5.86 -4.81 -4.02
H -7.36 -2.92 -3.23
H -6.33 -1.21 -1.63
N -0.97 -1.50 4.50
2